# Activity
Say how many lines of the data further down hold the word "at", as a bare number, please.
# Excerpt
____________
Density functional theory data (PBE) for an optimized crystal structure of ZrAsN2F.

```
5
Lattice="3.996 0.000 0.000 0.000 3.996 0.000 0.000 0.000 3.820" Properties=species:S:1:pos:R:3 pbc="T T T"
As 0.000 0.000 0.000
N 0.000 1.998 0.000
N 1.998 0.000 0.000
Zr 1.998 1.998 1.910
F 0.000 0.000 1.910
```

## Properties
The volume is 61.0 Å³/f.u. The space group is P4/mmm (123). The energy relative to the elements, uncorrected comes out at 3 kJ per mole of atoms. As for the total energy: -6.31 eV/atom. As for the relative energy among the computed polymorphs: 301 meV per atom.



Density functional theory data (PBE) for an optimized crystal structure of ZrAsN2F.

```
5
Lattice="-1.503 1.842 -2.849 -3.580 -3.784 -0.557 -2.253 1.787 2.344" Properties=species:S:1:pos:R:3 pbc="T T T"
As 0.000 0.000 0.000
N -1.127 0.893 1.172
N -0.752 0.921 -1.424
Zr -1.790 -1.892 -0.279
F -3.668 -0.078 -0.531
```

## Properties
The volume is 72.1 Å³/f.u. The space group is P4/mmm (123). The energy relative to the elements, uncorrected comes out at 51 kJ per mole of atoms. As for the total energy: -5.81 eV/atom. As for the relative energy among the computed polymorphs: 798 meV per atom.



Density functional theory data (PBE) for an optimized crystal structure of ZrAsN2F.

```
5
Lattice="-0.512 -4.226 0.364 1.778 0.119 3.883 -3.612 0.578 1.636" Properties=species:S:1:pos:R:3 pbc="T T T"
As -1.172 -1.764 2.942
N 0.889 0.060 1.942
N -0.256 -2.113 0.182
Zr 0.000 0.000 0.000
F -1.806 0.289 0.818
```

## Properties
The volume is 73.2 Å³/f.u. The space group is P4/mmm (123). The energy relative to the elements, uncorrected comes out at -26 kJ per mole of atoms. As for the total energy: -6.61 eV/atom. As for the relative energy among the computed polymorphs: 0 meV per atom.



Density functional theory data (PBE) for an optimized crystal structure of Na12As3F5.

```
80
Lattice="13.125 0.000 0.000 -4.375 12.374 0.000 -4.375 -6.187 10.716" Properties=species:S:1:pos:R:3 pbc="T T T"
As 7.656 3.867 1.340
As 7.656 8.507 1.340
As -1.094 5.414 6.698
As 1.094 -0.773 4.019
As 9.844 0.000 2.679
As 1.094 6.187 2.679
As 3.281 0.000 8.037
As -5.469 6.187 8.037
As 3.281 6.960 6.698
As 5.469 0.773 4.019
As -3.281 -2.320 9.377
As -3.281 2.320 9.377
F -1.094 3.094 2.679
F -2.187 6.187 0.000
F 0.000 0.000 0.000
F 3.281 2.320 1.340
F 4.375 -3.094 5.358
F 4.375 6.187 0.000
F -3.281 6.960 4.019
F 5.469 -3.867 9.377
F 5.469 5.414 4.019
F 1.094 -3.094 8.037
F 3.281 9.281 2.679
F 2.187 3.094 5.358
F 6.562 0.000 0.000
F -2.187 -3.094 5.358
F -1.094 0.773 6.698
F -1.094 10.054 1.340
F -4.375 3.094 5.358
F 7.656 -0.773 6.698
F 1.094 3.867 9.377
F 5.469 3.094 8.037
Na 8.622 1.347 0.257
Na 0.127 3.989 4.320
Na 9.862 2.868 3.159
Na 5.451 1.792 1.295
Na 1.604 4.512 7.301
Na 9.406 6.264 1.942
Na -1.112 7.263 4.454
Na -3.263 10.582 1.295
Na 0.583 7.863 7.301
Na 5.906 6.110 1.942
Na 6.690 3.544 4.063
Na 6.690 11.027 0.257
Na -3.792 5.485 5.615
Na 2.844 4.466 0.905
Na -4.502 8.830 4.063
Na 2.315 -2.198 6.396
Na -0.583 0.973 2.199
Na 2.844 7.831 1.038
Na 5.451 9.506 3.159
Na -0.656 4.543 1.038
Na -2.770 7.160 8.517
Na 3.299 5.111 4.454
Na 5.979 6.889 5.615
Na 5.031 -1.721 9.812
Na 1.076 1.076 6.263
Na -1.604 -0.702 5.101
Na -0.656 7.908 0.905
Na -1.076 -3.319 7.557
Na 7.145 -0.973 2.199
Na 5.031 1.644 9.678
Na 1.531 -1.644 9.678
Na 2.060 8.385 4.320
Na 4.958 5.214 8.517
Na 8.877 -2.643 6.653
Na 8.167 0.702 5.101
Na -2.315 -4.840 10.459
Na 1.531 1.721 9.812
Na 3.792 -1.676 3.416
Na -1.531 0.077 8.774
Na -2.315 2.643 6.653
Na 7.638 -4.395 9.422
Na 5.487 -1.076 6.263
Na -1.076 4.395 9.422
Na -5.031 -0.077 8.774
Na 2.770 1.676 3.416
Na -5.487 3.319 7.557
Na 4.248 2.198 6.396
Na -4.248 4.840 10.459
```

## Properties
The volume is 435.1 Å³/f.u. The space group is Ia-3d (230). The energy relative to the elements, uncorrected comes out at -138 kJ per mole of atoms. As for the total energy: -3.39 eV/atom.



Density functional theory data (PBE) for an optimized crystal structure of Na2AsF.

```
4
____________
# Response
4